Appointment Tutoring

GoalMeans of AchievingOutcomeMethods of AssessmentResultsResult Use
Draft common measurement tools for division learning outcomes (i.e., rubrics, survey questions)Meet with assessment committee to gather current tools available. Work to draft instruments. Disseminate to division for further feedback to refine instruments.Enter Student Learning OutcomeRubrics and survey questions designed and disseminated to each department for use. Also post on website.1/11/11: The Assessment Committee is in the process of discussing this; however, common tools have not yet been drafted. 5/23/2011: The Assessment Committee is in the process of finalizing survey questions and will begin work on rubrics at the next meeting.Hopefully, by the beginning of fall semester, rubrics and survey questions will be vetted through groups that have an integral part in measuring the learning outcomes, and the tools will be available for departmental use.
Next to the entry, the page also holds records of molecules
____________
Entry 1:
The following is a DFT calculation (wB97M-V/def2-TZVPD) of 2 unconnected molecules or ions with the total composition CHN3O2.

Properties
E_tot = -9613.42359 eV
SMILES = N#[N+][O-].N#CO
LUMO level = -0.39 eV
Energy above the lowest of the compared OMol25 structures with the same formula, charge and spin = 384.26 kJ/mol

Geometry (Å):
C 0.6764 -1.3162 0.2679
N 1.1270 -1.0639 1.2416
N 0.6641 1.7214 0.8379
N -0.3100 1.8503 0.3215
O -1.1359 2.1504 -0.3983
O -0.0889 -1.8410 -1.0280
H -0.9329 -1.5009 -1.2426

Forces on the atoms, in the same order (eV/Å):
C -7.1 -3.5 -10.9
N 3.0 1.4 5.6
N 0.6 -0.6 1.5
N 3.9 0.3 1.1
O -4.6 0.6 -2.6
O 5.7 0.2 4.4
H -1.6 1.6 0.8

From a natural (NBO) analysis of the wavefunction, the atomic charges in e read: 0.547 -0.366 -0.076 0.418 -0.343 -0.686 0.506


Entry 2:
The following is a DFT calculation (wB97M-V/def2-TZVPD) of C3H3NOS2 in the gas phase.

Properties
E_tot = -28364.93273 eV
SMILES = Sc1cnc(S)o1
LUMO level = 0.24 eV
Energy above the lowest of the compared OMol25 structures with the same formula, charge and spin = 279.93 kJ/mol

Geometry (Å):
C -0.8206 -0.5319 0.0915
C -0.5058 -0.6048 1.4248
C 1.1358 0.2646 0.3192
H -1.7948 -0.5501 -2.1433
H -0.8461 -0.6948 2.4025
H 1.7970 1.8461 -1.5453
N 0.7079 0.0336 1.4928
O 0.1892 -0.1955 -0.6616
S -2.4832 -0.5242 -0.8057
S 2.6207 0.9570 -0.5750

Forces on the atoms, in the same order (eV/Å):
C -4.5 -1.6 0.2
C 0.9 1.7 -2.1
C 0.7 0.0 -2.7
H -1.4 0.0 2.6
H -1.9 -0.8 0.8
H 1.6 -2.0 2.2
N 2.8 0.5 0.0
O 1.5 1.6 0.9
S 3.4 -0.4 -1.4
S -3.1 1.1 -0.4

From a natural (NBO) analysis of the wavefunction, the atomic charges in e read: 0.214 -0.192 0.333 0.175 0.242 0.180 -0.439 -0.460 -0.037 -0.017


Entry 3:
The following is a DFT calculation (wB97M-V/def2-TZVPD) of 2 unconnected molecules or ions with the total composition C3H9NO2S.

Properties
E_tot = -19676.88260 eV
SMILES = O=CNCCS.O
LUMO level = 0.74 eV
Energy above the lowest of the compared OMol25 structures with the same formula, charge and spin = 147.67 kJ/mol

Geometry (Å):
O 1.4941 1.4587 0.7907
C 0.5300 0.8003 0.4971
N 0.2674 0.2317 -0.7112
C -0.4674 -0.9856 -0.8343
C -1.7039 -0.8445 -1.7783
S -2.8565 0.3408 -1.0861
H -0.2636 0.6935 1.2553
H 0.7082 0.5650 -1.5603
H -0.9373 -1.2456 0.1120
H 0.1363 -1.8387 -1.1525
H -2.2534 -1.7894 -1.8358
H -1.4784 -0.7203 -2.8402
H -2.6672 1.4218 -1.8692
H 2.5133 1.1009 3.6098
H 3.8476 0.4129 4.0035
O 3.1309 0.3983 3.3998

Forces on the atoms, in the same order (eV/Å):
O 0.3 0.5 -0.4
C 0.0 0.4 0.6
N 0.0 -0.2 -0.4
C -1.8 -0.2 -0.8
C 0.5 -0.8 -0.2
S -0.6 0.5 -0.2
H -0.2 -0.7 -0.2
H 0.4 0.0 0.5
H 0.4 0.0 0.3
H 0.2 0.1 0.0
H 0.1 -0.1 0.5
H 0.3 0.7 0.2
H 0.2 -0.3 0.1
H 0.2 0.2 0.1
H 0.8 0.3 1.0
O -1.0 -0.5 -1.1

From a natural (NBO) analysis of the wavefunction, the atomic charges in e read: -0.580 0.537 -0.643 -0.223 -0.553 -0.039 0.109 0.401 0.208 0.197 0.227 0.226 0.132 0.476 0.465 -0.941


Entry 4:
The following is a DFT calculation (wB97M-V/def2-TZVPD) of C3H8NO2P in the gas phase.
____________
Here the entry continues
Work to add document upload component to online assessment website.Talk with Chip and assessment committee to discuss feasibility of and areas where we would like this feature.Enter Student Learning OutcomeDocument uploader created.1/11/11: Have not yet consulted with Chip. 6/2/2011: Will work with Chip over the next year to incorporate this item. As the 6 column model may still need to be edited for core themes and such, I will attempt to work with Chip on such a project at that time.With the revision of the annual report template and changes in the way university planning is conducted this past year, this will be incorporated into next years planning.
Increase the diversity of our tutor staff.Hire more international students, students of color and different cultural backgrounds.Tutors will more effectively interact with people from a variety of backgrounds.Response to question #18 on the "Assessment of Tutor Skill Development" (Post admin)2009-10 tutor staff included 25 tutors, 5 of whom were international students, students of color or different cultural backgrounds = 20%. Also, 11 were male tutors, 14 female; none over the age of 30. 2010-11 tutor staff includes 30 tutors, 12 of whom are international students, students of color or different cultural backgrounds = 40%. Also, 9 are male, 21 female; 4 over the age of 30. Tutors responded 72% "always" on question # 18 on the pre-assessment; 57% "always" on the post-assessment.Enter Use of Result
Conduct focus groups to disseminate survey data to faculty and staff (maybe students) to discuss areas of improvement and ideas for implementation.Look at survey schedule to determine areas who may be interested and discuss with assessment committee interested groups with which to hold focus groups.Enter Student Learning OutcomeFocus group notes.1/11/11: Will be presenting information at the Adjunct Faculty Retreat on Feb 5. Hopefully, this will spur interest. I anticipate being able to hold focus groups in March & April after more surveys have been completed. 6/2/2011: Because of the survey topics this year and how focused they were, we decided not to offer focus groups but will continue to collaborate with Adjunct and New Faculty events.Although this did not happen this year as the surveys were pretty specific, we have decided to complete an assessment handbook and look into the possibility of drafting an assessment newsletter to disseminate possibly on a 6 month rotation.
Hold annual focus groups with staff regarding overall assessment process improvements.Develop questions based on changes and improvements over the past year. Schedule focus groups.Enter Student Learning OutcomeFocus group notes.Have decided to hold Student Affairs Assessment focus groups every other year. This year, the Assessment Coordinator will meet individually with directors concerning their annual report and then again with their planning for 2011-12.Will discuss with directors in the 2011-12 academic year.
Conduct second year of student employee project and continue to assess effectiveness.Work to refine the role of the student employment committee. Revise learning outcomes. Administer pre and post tests (and evaluations). Analyze data. Make recommendations (with the help of the committee) for next year.All 19 outcomes are incorporated into project itself.Pre and Post Test, Supervisor EvaluationsPre-tests and initial supervisor evaluations have been administered. Currently working with year 3 committee on process. Post tests and post supervisor evals will be administered mid-March through the beginning of April.TBD. The benchmark for supervisor results is calculated, and student employee results are being processed.
In annual report, work to report out on achievement of division learning outcomes and areas of recommended improvement.Divide survey questions into division learning outcomes. Examine 6 column models to look for learning outcomes related to division learning outcomes and include in the report. Refine this process for next year (perhaps having departments select specific division learning outcomes when drafting departmental goals)Enter Student Learning OutcomeAnnual report division learning outcome summary template drafted (maybe not completed during the first year)With the revision of the university Core Themes and the work of the Assessment Committee to develop common measurement tools, this will be incorporated into the Core Theme Indicators next year under students benefitting from educational support services. Survey questions have been divided by learning outcome area, so this will be possible for next year.Will be incorporated into departmental and divisional planning for next year under the indicator relating to students benefitting from educational support services.
Work to refine cohort tracking process and to disseminate these data to departments in a timely manner.Develop new template. Work with IT to create new Crystal Report. Pull reports at the end of each semester for Sierra. Email to appropriate departments. Create summary doc at the end of each year.Enter Student Learning OutcomeCohort templates. Cohort summary doc created.1/11/11: Sierra worked to refine the template. New Crystal report has been designed, and Sierra is currently updating reports.Sierra has continually updated the cohort tracking process and template in addition to the activity waivers. She has worked with all departments to disseminate their cohort data. This will continue in the future.
Tutors will use excellent communication skills.Tutors will attend tutor training, accumulate experience explaining academic concepts to tutees, and meet in personal trainings with supervisor throughout the fall and spring semesters.Tutors will improve their ability to explain ideas.Response to question #17 on the "Assessment of Tutor Skill Development."27% of tutors responded "always" on question #17 on the pre-assessment; 29% of tutors responded "always" on question #17 on the post-assessment.Enter Use of Result
The Appointment Tutoring Center will acquire NADE certification.Collective efforts by the ASCP tutor supervisor staff will continue in the NADE certification process for 5th and final year.Tutors will earn certification from CRLA and NADE as an indication of their overall tutor training, experience and learning.NADE certification board will review and approve our application.All tutors earned a level of CRLA certification during fall semester 2010. NADE certification of our tutoring program is still pending.Enter Use of Result